Jan 09, 2009 12:32
Welly welly well...it's 2009 and we didn't do a year in review post for 2008. That could be because, thankfully, the year wasn't too horrible to get through. It's not that a lot didn't happen (BARACK!) it's just the drive and desire to post to my LJ have waned in the dust-driven haze of everyone being connected all the time online. It's none of your freakin' business, whoever you are. Maybe it's all the weed I've ingested that's made me more paranoid, I just don't want strangers and random oocytes piling on to this page.
I don't feel any intense emotion like I did before. C and I were talking, and we came to the conclusion that everyone needs to live through High School because the suffering and emotional times are just too ripe to miss. However, if I could, I think I would re-do High School knowing what I know now about drugs, people, and fear.
Speaking of feelings, I almost cried the day my nephew was born, but I didn't have PMS and my meds must have been working and planets were aligned in such a way that I was able to be around this miracle of life without crying and sobbing like some depressed over-emotional fuckface. GO ME!
== What comes next are records of molecules, not part of the piece ==
~~~
No. 1
Entry from the OMol25 dataset: a cluster of 7 separate species, C58H123F3N5O5S in total in a non-equilibrium geometry (ωB97M-V/def2-TZVPD).

Results
E: -98796.8973 eV
HOMO-LUMO gap: 0.3237 Eh

```
! RIJCOSX wB97M-V def2-TZVPD def2/J DEFGRID3
* xyz 3 1
S 3.4213 3.5778 -0.7228
F 5.6148 4.8812 -1.3183
F 5.2541 3.0981 -2.5191
F 4.1093 4.8877 -2.8823
O 4.1889 2.9270 0.3280
O 2.5635 2.6897 -1.4825
O 2.7609 4.7704 -0.2212
O -1.5653 -0.7098 0.3845
O -0.4703 -0.9581 -1.5528
N 2.4983 5.3699 3.6201
N 3.2159 -0.4855 -4.1881
N -4.2367 -0.3444 3.6856
N 1.8630 -1.6848 2.1206
N -2.6228 -2.1780 -4.9981
C 2.7396 -1.2815 -5.3777
C 1.4419 5.7574 2.6106
C 2.6399 -2.0908 3.3522
C -3.3276 -1.8702 5.5153
C 4.2467 -3.3974 -1.8599
C 3.8073 6.1377 3.4098
C -3.8812 0.1427 2.3149
C -1.7236 -3.7835 4.9845
C 3.1875 0.1225 1.1707
C 4.0724 -1.3249 -3.2653
C 2.1023 5.5686 5.0643
C 4.9157 5.0838 3.4532
C 1.4494 -4.0496 1.2718
C -0.8226 5.0396 1.6613
C -7.5165 -2.2335 2.9085
C 0.8438 -2.6877 1.6400
C -1.1388 -1.9326 -4.7651
C 1.6793 1.3931 -4.2228
C 3.8001 -2.0694 -6.1195
C 4.6842 4.1657 -1.9245
C -4.7157 2.0098 3.5955
C -3.1041 -1.3957 -6.1855
C -2.0600 -2.6232 5.9213
C -4.5043 -1.7714 -6.6701
C 2.2959 0.6838 2.2616
C -3.2316 -1.3882 4.0828
C 2.7093 -2.7197 5.7598
C -2.6638 -3.6716 -5.2271
C -6.0124 -1.9497 2.7652
C 3.2960 -2.5689 -7.4553
C -0.7722 1.2393 -0.7825
C 1.8104 -2.2917 4.5986
C 0.1596 4.9547 2.8166
C -4.1822 0.8975 4.5059
C 1.3393 6.8468 5.3495
C 3.0077 1.8556 -4.8601
C 3.4043 -2.6033 -2.8474
C -4.6872 1.0911 -1.5926
C 4.3515 -3.3498 -8.1977
C 1.1677 -0.3553 2.3320
C 0.9079 6.9250 6.8294
C 4.2674 3.8130 3.9980
C 2.8621 -1.3673 1.0358
C -3.5052 -0.4479 -3.3163
C 0.3730 -4.9896 0.7924
C 2.8922 3.9538 3.3598
C -1.6614 -4.2655 -4.2160
C -5.6411 -0.9106 3.7923
C -4.5765 1.4674 2.1449
C -0.9612 -0.2696 -0.6221
C -4.4703 -2.2818 -8.1180
C -2.0796 4.2331 1.9711
C 4.0060 0.7223 -4.6535
C -3.4389 -1.8842 -3.7742
C -0.2346 -4.5431 -0.5510
C -0.6847 -3.1087 -3.9407
C 2.0155 0.1074 -3.4923
C -4.2221 -0.3118 -1.9798
H -5.9202 -1.5772 1.7427
H 4.7080 0.9870 -3.8652
H 5.8212 5.4043 3.9717
H -2.1352 -4.6954 -3.3394
H 2.1712 -3.9077 0.4641
H 2.4363 -0.4948 -6.0739
H 2.8942 2.0723 -5.9219
H 3.0715 -3.0431 3.0506
H 3.6898 -2.0705 1.0042
H 0.0689 -2.7538 2.3955
H -3.6734 -4.0073 -5.0240
H 2.3432 -3.0788 -7.2770
H 2.2676 3.2384 3.8930
H -4.0272 0.1849 -4.0468
H -5.4684 -2.3885 -8.5397
H 3.8175 -4.3901 -1.6914
H -6.3098 -0.0528 3.7085
H -5.4351 -2.8701 2.8474
H -1.0728 -3.4302 4.1772
H -0.9781 -0.9566 -4.3169
H 0.1423 1.5210 -1.3004
H 2.2497 0.2451 -2.4347
H 1.8853 5.5409 1.6377
H -3.3062 -2.1696 3.3308
H 4.2083 -0.6536 -2.4141
H 0.6308 -0.3877 3.2738
H -3.8512 -3.1684 -8.2150
H 0.5559 7.9426 6.9976
H -2.5316 0.0585 -3.2842
H -3.2029 -2.5681 -2.9596
H 1.1395 -3.1430 4.4558
H -0.7453 -1.9396 -5.7842
H -5.7520 2.2501 3.8194
H -1.2240 -1.9183 5.9304
H -2.3242 -1.5556 -6.9286
H -3.0457 -0.3561 -5.8753
H 1.7618 6.8195 7.4963
H -2.2503 -3.8305 -6.2192
H -0.8260 -5.3675 -0.9570
~~~
Li'l Gil: Born Dec. 15, 2008. 7lbs 13oz, 21inches long.
I haven't seen Lil Gil in a few weeks since I've been sick with the phlegm and the mucus. I hear he's gotten squirmy and strong. I'd post some pics but I don't want my baby to be exposed to the whole internet. Maybe I'll do a friends-only post with some pixxxx.
ANyway, 2009 is the Year of the Dugong. Dugongathon 2009.
I am at work and I just did a shitload of knitting books on cd. How...thrilling. I think I'm going to go home for lunch since I couldn't find any of the soups that go with you to work.
Oh! I also started a TWITTER account. Look me up. I am CrumblyFish. I have no friends there. You could be so much happier being my friend on Twitter. Yea right, I"m going to forget about Twitter in a few weeks, just like I always do with OKCupid.
Maybe if the urge to journal hits me later I'll do a 2008 recap or something. At least one good thing to note: 2008 was totally COP-FREE! No run-ins with the fuzz at all! That's amazing to me!
I think I'm going to go put on the new radio104 online so I have some tunes to work to. Internet radio is so cool. Totally. I want a new mp3 player so bad. I think I'm going to go with the Sansa Fuze 8gb. I have $30 off at WallyWorld, so it would be a good deal.
Anyway, a library board member is here right now, so I'm going to bid farewell to LJ until next month probably. Until then, dugong dugong!